Your eligibility for Medicare benefits depends on the field of work you’re in. Different fields have different eligibility requirements.
We’ll assess your application. If you meet all the eligibility requirements, we’ll update your Medicare provider record to show your new status.
We’ll send you a letter to let you know when your application has been finalised. The letter will tell you the date you’ll be eligible to start claiming the MBS items.
If you’re applying for Medicare provider number online you must understand your legislative requirements:
- You must apply for a unique provider number for each place of practice and profession you practise in.
- You can apply for an additional provider number for a different location or at the same location.
- You can’t claim a Medicare benefit until we’ve issued your provider number for that location.
- You can’t use anyone else’s Medicare provider number.
- You’re not eligible to claim Medicare benefits if we’ve suspended your membership or registration or if it has expired.
- You’re not eligible if your membership level has changed.
- If you don’t have access to Medicare, you must let patients know before you treat them that they won’t get Medicare benefits for your services.
To provide a service that gets a Medicare benefit, you as a health professional must:
- have a Medicare provider number for each practice location
[These materials data were left in the page by mistake]
<<<
# LiTmTiRe GGA-PBE relaxed
# magnetization: 0.00 μB/f.u.
# formation enthalpy at 0 K: 0.5 kJ per mole of atoms
# mass density: 9.72 g/cm³
# V: 17.5 Å³ per atom
data_LiTmTiRe
_chemical_formula_sum 'Li4 Tm4 Ti4 Re4'
_space_group_name_H-M_alt 'F -4 3 m'
_space_group_IT_number 216
_space_group_name_Hall 'F -4 2 3'
_cell_length_a 6.543
_cell_length_b 6.543
_cell_length_c 6.543
_cell_angle_alpha 90.00
_cell_angle_beta 90.00
_cell_angle_gamma 90.00
loop_
_atom_site_label
_atom_site_type_symbol
_atom_site_fract_x
_atom_site_fract_y
>>>
- meet eligibility requirements set out in the Health Insurance Act 1973 or the relevant legislation relating to your specific health profession
- have been advised in writing that you’re eligible to access Medicare benefits for your services.
If you don’t meet these requirements, you can still practise medicine. You still have to satisfy the requirements set out by your registration body. You can’t claim a Medicare benefit for your services.
You must let patients know they won’t get a Medicare benefit before you provide a service to them. It’s an offence to provide a service without doing this.
You can’t access full Medicare benefits until you meet the general practitioner (GP) and specialist eligibility requirements. Until then, you’ll have limited access to Medicare benefits. As an intern, registrar or trainee, you can still get a Medicare provider number.
To satisfy section 19AA of the Health Insurance Act 1973 and be eligible for a Medicare provider number, you must be one of the following::
- vocationally recognised as a specialist, consultant physician or specialist general practitioner
- registered on the Vocational Register with general registration with the Australian Health Practitioner Regulation Agency (Ahpra)
- registered in an approved placement under section 3GA of the Act
- first registered before 1 November 1996 - some exclusions apply - you can find more information on the Federal Register of Legislation website
- a temporary resident doctor with an exemption under section 19AB of the Act, working according to that exemption.
You can claim Medicare benefits if you meet the general eligibility requirements, and you:
- are registered with the Nursing and Midwifery Board of Australia and endorsed as a nurse practitioner or as a midwife who holds an endorsement for scheduled medicines. Read more about the guidelines on the Nursing and Midwifery Board of Australia website
- work in private practice or in a public facility that has an exemption under subsection 19(2) of the Health Insurance Act 1973
- have a collaborative care arrangement in place.
To claim Medicare benefits, allied health professionals must:
- meet the qualification requirements set out in the Health Insurance (Allied Health Services) Determination 2014
- be registered with Ahpra or a respective board or organisation
- be recognised as an allied health professional in their field by us
- be in private practice
- be working in a private capacity.
An allied health professional is also eligible for registration under the allied health professional initiative if they’re employed by an Aboriginal and Torres Strait Islander Community Controlled Health Service, or a state or territory clinic that has an exemption under subsection 19(2) of the Act.
Allied health professionals who may qualify include:
- Aboriginal health workers
- audiologists
- chiropractors
- diabetes educators
- dietitians
- exercise physiologists
- mental health nurses
- occupational therapists
- orthoptists
- osteopaths
- physiotherapists
- podiatrists
- psychologists
- social workers
- speech pathologists.
To claim Medicare benefits, dental practitioners must:
- meet the qualification requirements set out in the Health Insurance (Dental Services) Determination 2007
- be registered with Ahpra or a respective board or organisation
- be recognised as a dental practitioner in their field by us
- be in private practice
- be working in a private capacity.
Dental prosthetists can register for a Medicare provider number but can’t use their provider number for Medicare billing.
To claim Medicare benefits, optometrists must:
- meet the qualification requirements set out in the Health Insurance (Optometric Services) Determination 2016
- be registered with Ahpra or a respective board or organisation
- be recognised as an optometrist by us
- be in private practice
- be working in a private capacity.
Processing times for applications
We’ll send you a letter to let you know when your Medicare benefits application has been finalised.
Most Medicare provider number applications take up to 28 days to process from the date we get your application. Some applications may take longer if the Department of Health and Aged Care needs to assess them.